View Full Version : How SHOULD I have done this? - Nigh-time, moving...

10-03-2012, 4:58pm
I was down at Burswood park last night (near the casino in Peth) when I came across an incredible sight - hundreds - possibly a thousand or so, ducks, swans and gulls covering the lake and park, literally swarming around. An elderly Asian lady was feeding them rice and bread. Kind of reminded me of a scene from a movie I saw, with the crazy Central Park bird lady (can't remember the film...) By the end, I was sitting down next to my tripod, totally surrounded by swans having the occasional peck at my fingers to see if any more bread was offered. It was totally surreal, and an incredible experience.

I had my camera, tripod and 2 flashes with me and started snapping away, and was less then impressed with the results. Too dark, too blurry, too bright etc etc.

_Attached: crystal structures_
'''
Entry from the Alexandria database: a relaxed structure of Rb2CaCo2O4 (GGA+U).

```
Rb2CaCo2O4
1.0
3.542 0.000 0.000
-1.771 6.777 0.092
0.000 -2.308 6.302
Rb Ca Co O
2 1 2 4
direct
0.873 0.746 0.473
0.127 0.254 0.527
0.000 0.000 0.000
0.329 0.658 0.028
0.671 0.342 0.972
0.799 0.598 0.866
0.201 0.402 0.134
0.471 0.942 0.210
0.529 0.058 0.790
```

Properties
The spin magnetization comes out at 6.000 μB/f.u. The value obtained for the density is 4.3 Mg/m³. The space-group type is C2/m (12). The uncorrected energy is -5.252 eV per atom.

----------

Here is a relaxed Sr3Ru crystal from Alexandria. Energies are from GGA-PBEsol.

abc: 4.942 4.943 4.943
angles: 90.00 90.00 90.00
Fractional positions:
Sr 0.000 0.500 0.416
Sr 0.500 0.500 0.916
Sr 0.500 0.000 0.416
Ru 0.000 0.000 0.919

Results
The density of states at the Fermi level is 0.394 states/eV/atom. Its formation energy is 2.453 eV/f.u.


Here is a relaxed Sr3Ru crystal from Alexandria. Energies are from GGA-PBEsol.

abc: 3.963 6.634 6.634
angles: 62.35 72.62 72.62
Fractional positions:
Ru 0.000 0.053 0.947
Sr 0.676 0.701 0.947
Sr 0.500 0.360 0.640
Sr 0.324 0.053 0.299

Results
The density of states at the Fermi level is 0.935 states/eV/atom. Its formation energy is 1.568 eV/f.u.


Values of E_tot, in order: -3.310 -3.531, all in eV/atom.

----------

No. 1
The following is a DFT calculation (PBE-GGA) of a relaxed SrCrBr2 crystal.

Structure (extended XYZ):
```
4
Lattice="-1.972 2.755 5.380 1.972 -2.755 5.380 1.972 2.755 -5.380" Properties=species:S:1:pos:R:3 pbc="T T T"
Sr 0.000 0.000 0.000
Cr 0.000 2.755 2.459
Br 1.972 0.000 2.465
Br 0.000 0.000 5.659
```

Output
E above lowest polymorph ... 102 meV per atom
Space-group type ... No. 44
Raw formation energy ... -0.590 eV/atom

***

No. 2
The following is a DFT calculation (PBE-GGA) of a relaxed BaIrCl crystal.

Structure (extended XYZ):
```
6
Lattice="-2.832 4.639 2.919 2.832 -4.639 2.919 2.832 4.639 -2.919" Properties=species:S:1:pos:R:3 pbc="T T T"
Ba 0.000 0.000 0.000
Ba 0.000 4.639 0.000
Ir 2.832 2.320 0.766
Ir 0.000 2.320 2.153
Cl 1.416 2.320 -1.459
Cl 1.416 -2.320 1.459
```

Output
E above lowest polymorph ... 880 meV per atom
Space-group type ... No. 74
Raw formation energy ... -0.306 eV/atom

***

No. 3
The following is a DFT calculation (PBE-GGA) of a relaxed LiMg3Pt4 crystal.

Structure (extended XYZ):
```
8
Lattice="7.404 -2.077 0.000 7.404 2.077 0.000 -1.159 0.000 3.989" Properties=species:S:1:pos:R:3 pbc="T T T"
Li 0.000 0.000 0.000
Mg 3.398 0.000 0.993
Mg 6.824 0.000 1.994
Mg 10.250 0.000 2.996
Pt 1.108 0.000 2.488
Pt 4.557 0.000 3.496
Pt 9.091 0.000 0.493
Pt 12.540 0.000 1.501
```

Output
Formation energy ... -0.80 eV per atom
Space-group type ... No. 12

***

No. 4
The following is a DFT calculation (PBE-GGA) of a relaxed Ni2AsBr crystal.

Structure (extended XYZ):
```
8
Lattice="-2.869 2.869 4.746 2.869 -2.869 4.746 2.869 2.869 -4.746" Properties=species:S:1:pos:R:3 pbc="T T T"
Ni 4.303 1.302 -1.187
Ni 1.302 1.434 1.187
'''

I have linked to a gallery of the photos below, and would appreciate some advice on how I SHOULD have set up, keeping in mind fairly constant movement was necessary as the swans kept coming right up to me and inspecting the camera. These were the best of about 50 I took... so very disappointing. :confused013

Records of crystals from another source follow:
/*
A plane-wave DFT calculation with GGA-PBE was carried out for an optimized crystal structure of CaGeH.

As for the spin magnetization: 0.0 μB/f.u. The calculation puts the energy above the most stable polymorph in this dataset at 0.0000 eV per atom.

Lattice parameters (Å, degrees): 8.6430 8.6430 8.6430 26.46 26.46 26.46
Atoms (fractional coordinates):
Ca 0.2280 0.2280 0.2280
Ca 0.7720 0.7720 0.7720
Ge 0.3557 0.3557 0.3557
Ge 0.6443 0.6443 0.6443
H 0.1345 0.1345 0.1345
H 0.8655 0.8655 0.8655

---

A plane-wave DFT calculation with GGA-PBE was carried out for an optimized crystal structure of Sr2PuSn3Rh4.

The total DFT energy (no corrections) is -6.523 eV per atom. As for the spin magnetization: 5.1 μB/f.u.

Lattice parameters (Å, degrees): 4.5533 4.5533 11.2328 90.00 90.00 90.00
Atoms (fractional coordinates):
Sr 0.0000 0.5000 0.2343
Sr 0.5000 0.0000 0.7657
Pu 0.0000 0.0000 0.5000
Sn 0.0000 0.5000 0.8770
Sn 0.5000 0.0000 0.1230
Sn 0.5000 0.5000 0.5000
Rh 0.0000 0.0000 0.0000
Rh 0.0000 0.5000 0.6382
Rh 0.5000 0.0000 0.3618
Rh 0.5000 0.5000 0.0000

---

A plane-wave DFT calculation with GGA-PBE was carried out for an optimized crystal structure of PmPrSi.

The uncorrected formation energy comes out at -0.261 eV per atom. As for the spin magnetization: 0.0 μB/f.u. The calculation puts the energy above the most stable polymorph in this dataset at 0.1742 eV per atom.

Lattice parameters (Å, degrees): 3.7828 13.9379 6.6836 90.00 90.00 90.00
Atoms (fractional coordinates):
Pm 0.0000 0.1232 0.2500
Pm 0.0000 0.8768 0.7500
Pm 0.5000 0.3768 0.7500
Pm 0.5000 0.6232 0.2500
Pr 0.0000 0.1299 0.7500
Pr 0.0000 0.8701 0.2500
Pr 0.5000 0.3701 0.2500
Pr 0.5000 0.6299 0.7500
Si 0.0000 0.5000 0.0000
Si 0.0000 0.5000 0.5000
Si 0.5000 0.0000 0.0000
Si 0.5000 0.0000 0.5000

---

A plane-wave DFT calculation with GGA-PBE was carried out for an optimized crystal structure of RbBaH2.

As for the spin magnetization: 0.1 μB/f.u. The calculation puts the energy above the most stable polymorph in this dataset at 0.0112 eV per atom.

Lattice parameters (Å, degrees): 4.2571 6.7880 9.3973 90.00 102.92 90.00
Atoms (fractional coordinates):
Rb 0.0000 0.0000 0.0000
Rb 0.3446 0.5000 0.6965
Ba 0.2360 0.0000 0.4688
Ba 0.6399 0.5000 0.2746
H 0.1338 0.2585 0.2620
H 0.1338 0.7415 0.2620
H 0.7549 0.2545 0.5077
H 0.7549 0.7455 0.5077

---

A plane-wave DFT calculation with GGA-PBE was carried out for an optimized crystal structure of Sm3Cd2Hg3.

As for the spin magnetization: 0.0 μB/f.u. The calculation puts the energy above the most stable polymorph in this dataset at 0.0494 eV per atom.

Lattice parameters (Å, degrees): 7.9890 7.9890 3.9193 90.00 90.00 120.00
Atoms (fractional coordinates):
Sm 0.0000 0.6312 0.0000
Sm 0.3688 0.3688 0.0000
Sm 0.6312 0.0000 0.0000
Cd 0.3333 0.6667 0.5000
Cd 0.6667 0.3333 0.5000
Hg 0.0000 0.2500 0.5000
Hg 0.2500 0.0000 0.5000
Hg 0.7500 0.7500 0.5000

---

A plane-wave DFT calculation with GGA-PBE was carried out for an optimized crystal structure of Co3BSe.
*/

Gear - 550D, Lens - Canon 24-105L, 430ex-ii (slave off camera), 580ex-ii master on camera
Lighting available - almost pitch black - some slight ambient light from across the lake at the casino.
All images were RAW, and processed in LR4. Some have been heavily processed to increase exposure so you can see the number of birds.

I would love to go back there and get some pictures that turned out OK. I have left the metadata in there so you can see the range of shutter speeds etc I tried. Check the caption of each pic for the main details. What I did notice afterwards that I had my ISO fixed on 400...

Link > http://photos.throssell.com/Other/Swans/21862927_TpRhb9


11-03-2012, 12:26pm
Kieron, shutter speed and aperture are but two pieces in the puzzle of exposure for these images. I had a look at the EXIF data for your images and I see that you experimented quite a bit with settings. You might want to have a read of this document http://photonotes.org/articles/eos-flash/index2.html#programflash. With Canon EOS cameras, the mode you shoot in will have a major effect on the way your images are exposed. Essentially in the lighting you had, you need to to work on two exposures, one for the ambient light, and another for the flash.

In at least one of your images you used ISO3200, I assume to maximise the ambient light (or maybe to get a faster shutter speed to freeze the movement). What I would have done (and who knows how they would have turned out, because I wasn't there), would have been to use the tripod and either shoot in Av to get the ambient light exposure correct at high ISO, and let the flash actually freeze the movement. You'll hear wedding photographers talk about dragging the shutter. Here's an explanation of how that works http://neilvn.com/tangents/flash-photography-techniques/3-dragging-the-shutter/.

You still need to experiment though, because there is no hard and fast rule of when to use this technique and what settings to use. You'll have to chimp your exposures to see what works best.

Fall-back for this is probably "P" mode, which I see you also tried. It is going to use 1/60th second for shutter though, no matter what other settings you select. In daylight P mode will also use a faster shutter speed if you have high speed synch set.

The final choice is Manual Mode as it is simply going to expose for the foreground and totally ignore your ambient.

No doubt there will be plenty of alternate views offered ;), but that is what I would have done. YMMV.

11-03-2012, 2:13pm
yeah, I would have shot manual, bumped up the ISO to 1600, f/4, 1/60s or similar in manual and let the flash do its job in TTL